_Given_
********
K2LiVPt | PBE-GGA | optimized geometry

CIF file:
```
data_K2LiVPt
_symmetry_space_group_name_H-M 'P 1'
_symmetry_Int_Tables_number 1
_cell_length_a 5.300
_cell_length_b 5.300
_cell_length_c 5.055
_cell_angle_alpha 90.00
_cell_angle_beta 90.00
_cell_angle_gamma 90.00
loop_
_symmetry_equiv_pos_as_xyz
'x,y,z'
loop_
_atom_site_label
_atom_site_type_symbol
_atom_site_fract_x
_atom_site_fract_y
_atom_site_fract_z
K1 K 0.000 0.500 0.000
K2 K 0.500 0.000 0.000
Li1 Li 0.000 0.000 0.000
V1 V 0.000 0.000 0.500
Pt1 Pt 0.500 0.500 0.500
```

Calculated values
The mass density is 3.873 g/cm³. The calculation puts the energy at -2.711 eV per atom. The value obtained for the density of states at the Fermi level is 3.9 states/eV per cell. As for the formation energy: 110.28 kJ per mole of atoms. The total moment comes out at 3.90 μB per formula unit. The symmetry is No. 123.


Computed, not measured: a relaxed Ce2Tm2AlGa4 crystal at the PBE level of DFT.

VASP energy	-4.24	eV per atom

Cell and atoms, written as CIF:
```
data_Ce2Tm2AlGa4
_chemical_formula_sum 'Ce4 Tm4 Al2 Ga8'
_cell_length_a 6.981
_cell_length_b 6.981
_cell_length_c 8.881
_cell_angle_alpha 90.00
_cell_angle_beta 90.00
_cell_angle_gamma 90.00
_symmetry_space_group_name_H-M 'I 4/m m m'
_symmetry_Int_Tables_number 139
_symmetry_space_group_name_Hall '-I 4 2'
loop_
_atom_site_label
_atom_site_fract_x
_atom_site_fract_y
_atom_site_fract_z
_atom_site_occupancy
Ce1 0.000 0.000 0.188 1
Tm1 0.000 0.500 0.250 1
Al1 0.000 0.000 0.500 1
Ga1 0.248 0.248 0.500 1
```

***

Computed, not measured: a relaxed Zn5Si3Ag12 crystal at the PBE level of DFT.

ΔE_f (raw)	0.395	eV per atom

Cell and atoms, written as CIF:
```
data_Zn5Si3Ag12
_chemical_formula_sum 'Zn40 Si24 Ag96'
_cell_length_a 15.134
_cell_length_b 15.134
_cell_length_c 15.134
_cell_angle_alpha 90.00
_cell_angle_beta 90.00
_cell_angle_gamma 90.00
_symmetry_space_group_name_H-M 'I a -3 d'
_symmetry_Int_Tables_number 230
_symmetry_space_group_name_Hall '-I 4bd 2c 3'
loop_
_atom_site_label
_atom_site_fract_x
_atom_site_fract_y
_atom_site_fract_z
_atom_site_occupancy
Zn1 0.000 0.000 0.000 1
Zn2 0.000 0.250 0.375 1
Si1 0.000 0.250 0.125 1
Ag1 0.016 0.085 0.648 1
```

***

Computed, not measured: a relaxed CoAgCl2 crystal at the PBE level of DFT.

ΔE_f (raw)	0.204	eV per atom
distance to the lowest polymorph of the same formula	0.3722	eV/atom

Cell and atoms, written as CIF:
```
data_CoAgCl2
_chemical_formula_sum 'Co4 Ag4 Cl8'
_cell_length_a 6.592
_cell_length_b 6.592
_cell_length_c 6.592
_cell_angle_alpha 90.00
_cell_angle_beta 90.00
_cell_angle_gamma 90.00
_symmetry_space_group_name_H-M 'F m -3 m'
_symmetry_Int_Tables_number 225
_symmetry_space_group_name_Hall '-F 4 2 3'
loop_
_atom_site_label
_atom_site_fract_x
_atom_site_fract_y
_atom_site_fract_z
_atom_site_occupancy
Co1 0.000 0.000 0.000 1
Ag1 0.000 0.000 0.500 1
Cl1 0.250 0.250 0.250 1
```

***

Computed, not measured: a relaxed Sr5Mg24 crystal at the PBE level of DFT.

VASP energy	-1.63	eV per atom

Cell and atoms, written as CIF:
```
data_Sr5Mg24
_chemical_formula_sum 'Sr10 Mg48'
_cell_length_a 11.678
_cell_length_b 11.678
_cell_length_c 11.678
_cell_angle_alpha 90.00
_cell_angle_beta 90.00
_cell_angle_gamma 90.00
_symmetry_space_group_name_H-M 'I -4 3 m'
_symmetry_Int_Tables_number 217
_symmetry_space_group_name_Hall 'I -4 2 3'
loop_
_atom_site_label
_atom_site_fract_x
_atom_site_fract_y
_atom_site_fract_z
_atom_site_occupancy
Sr1 0.000 0.000 0.000 1
Sr2 0.187 0.187 0.813 1
Mg1 0.030 0.359 0.359 1
Mg2 0.091 0.091 0.284 1
```

***

Computed, not measured: a relaxed Sb2I2Br crystal at the PBE level of DFT.

ΔE_f (raw)	0.021	eV per atom
distance to the lowest polymorph of the same formula	0.0000	eV/atom

Cell and atoms, written as CIF:
```
data_Sb2I2Br
_chemical_formula_sum 'Sb4 I4 Br2'
_cell_length_a 8.013
_cell_length_b 8.013
_cell_length_c 4.994
_cell_angle_alpha 90.00
_cell_angle_beta 90.00
_cell_angle_gamma 90.00
_symmetry_space_group_name_H-M 'P 4/m b m'
********

_Wanted_
The reader should write out everything above unchanged.

_Response_
K2LiVPt | PBE-GGA | optimized geometry

CIF file:
```
data_K2LiVPt
_symmetry_space_group_name_H-M 'P 1'
_symmetry_Int_Tables_number 1
_cell_length_a 5.300
_cell_length_b 5.300
_cell_length_c 5.055
_cell_angle_alpha 90.00
_cell_angle_beta 90.00
_cell_angle_gamma 90.00
loop_
_symmetry_equiv_pos_as_xyz
'x,y,z'
loop_
_atom_site_label
_atom_site_type_symbol
_atom_site_fract_x
_atom_site_fract_y
_atom_site_fract_z
K1 K 0.000 0.500 0.000
K2 K 0.500 0.000 0.000
Li1 Li 0.000 0.000 0.000
V1 V 0.000 0.000 0.500
Pt1 Pt 0.500 0.500 0.500
```

Calculated values
The mass density is 3.873 g/cm³. The calculation puts the energy at -2.711 eV per atom. The value obtained for the density of states at the Fermi level is 3.9 states/eV per cell. As for the formation energy: 110.28 kJ per mole of atoms. The total moment comes out at 3.90 μB per formula unit. The symmetry is No. 123.


Computed, not measured: a relaxed Ce2Tm2AlGa4 crystal at the PBE level of DFT.

VASP energy	-4.24	eV per atom

Cell and atoms, written as CIF:
```
data_Ce2Tm2AlGa4
_chemical_formula_sum 'Ce4 Tm4 Al2 Ga8'
_cell_length_a 6.981
_cell_length_b 6.981
_cell_length_c 8.881
_cell_angle_alpha 90.00
_cell_angle_beta 90.00
_cell_angle_gamma 90.00
_symmetry_space_group_name_H-M 'I 4/m m m'
_symmetry_Int_Tables_number 139
_symmetry_space_group_name_Hall '-I 4 2'
loop_
_atom_site_label
_atom_site_fract_x
_atom_site_fract_y
_atom_site_fract_z
_atom_site_occupancy
Ce1 0.000 0.000 0.188 1
Tm1 0.000 0.500 0.250 1
Al1 0.000 0.000 0.500 1
Ga1 0.248 0.248 0.500 1
```

***

Computed, not measured: a relaxed Zn5Si3Ag12 crystal at the PBE level of DFT.

ΔE_f (raw)	0.395	eV per atom

Cell and atoms, written as CIF:
```
data_Zn5Si3Ag12
_chemical_formula_sum 'Zn40 Si24 Ag96'
_cell_length_a 15.134
_cell_length_b 15.134
_cell_length_c 15.134
_cell_angle_alpha 90.00
_cell_angle_beta 90.00
_cell_angle_gamma 90.00
_symmetry_space_group_name_H-M 'I a -3 d'
_symmetry_Int_Tables_number 230
_symmetry_space_group_name_Hall '-I 4bd 2c 3'
loop_
_atom_site_label
_atom_site_fract_x
_atom_site_fract_y
_atom_site_fract_z
_atom_site_occupancy
Zn1 0.000 0.000 0.000 1
Zn2 0.000 0.250 0.375 1
Si1 0.000 0.250 0.125 1
Ag1 0.016 0.085 0.648 1
```

***

Computed, not measured: a relaxed CoAgCl2 crystal at the PBE level of DFT.

ΔE_f (raw)	0.204	eV per atom
distance to the lowest polymorph of the same formula	0.3722	eV/atom

Cell and atoms, written as CIF:
```
data_CoAgCl2
_chemical_formula_sum 'Co4 Ag4 Cl8'
_cell_length_a 6.592
_cell_length_b 6.592
_cell_length_c 6.592
_cell_angle_alpha 90.00
_cell_angle_beta 90.00
_cell_angle_gamma 90.00
_symmetry_space_group_name_H-M 'F m -3 m'
_symmetry_Int_Tables_number 225
_symmetry_space_group_name_Hall '-F 4 2 3'
loop_
_atom_site_label
_atom_site_fract_x
_atom_site_fract_y
_atom_site_fract_z
_atom_site_occupancy
Co1 0.000 0.000 0.000 1
Ag1 0.000 0.000 0.500 1
Cl1 0.250 0.250 0.250 1
```

***

Computed, not measured: a relaxed Sr5Mg24 crystal at the PBE level of DFT.

VASP energy	-1.63	eV per atom

Cell and atoms, written as CIF:
```
data_Sr5Mg24
_chemical_formula_sum 'Sr10 Mg48'
_cell_length_a 11.678
_cell_length_b 11.678
_cell_length_c 11.678
_cell_angle_alpha 90.00
_cell_angle_beta 90.00
_cell_angle_gamma 90.00
_symmetry_space_group_name_H-M 'I -4 3 m'
_symmetry_Int_Tables_number 217
_symmetry_space_group_name_Hall 'I -4 2 3'
loop_
_atom_site_label
_atom_site_fract_x
_atom_site_fract_y
_atom_site_fract_z
_atom_site_occupancy
Sr1 0.000 0.000 0.000 1
Sr2 0.187 0.187 0.813 1
Mg1 0.030 0.359 0.359 1
Mg2 0.091 0.091 0.284 1
```

***

Computed, not measured: a relaxed Sb2I2Br crystal at the PBE level of DFT.

ΔE_f (raw)	0.021	eV per atom
distance to the lowest polymorph of the same formula	0.0000	eV/atom

Cell and atoms, written as CIF:
```
data_Sb2I2Br
_chemical_formula_sum 'Sb4 I4 Br2'
_cell_length_a 8.013
_cell_length_b 8.013
_cell_length_c 4.994
_cell_angle_alpha 90.00
_cell_angle_beta 90.00
_cell_angle_gamma 90.00
_symmetry_space_group_name_H-M 'P 4/m b m'